Exercise:
Count the lines underneath that contain the word "parameters" and give the number alone.

Input:
~~~
TbPr2YEr2: simulated X-ray diffraction stick pattern (Cu Kα), based on DFT lattice parameters and positions (PBE).
Kinematic intensities with the Lorentz-polarization factor, no thermal factor.

Structure:
```
data_TbPr2YEr2
_cell_length_a 5.677
_cell_length_b 9.834
_cell_length_c 7.064
_cell_angle_alpha 90.00
_cell_angle_beta 90.00
_cell_angle_gamma 90.00
_symmetry_space_group_name_H-M 'P m c 21'
_symmetry_Int_Tables_number 26
loop_
_symmetry_equiv_pos_as_xyz
'x,y,z'
'-x,-y,z+1/2'
'-x,y,z'
'x,-y,z+1/2'
loop_
_atom_site_label
_atom_site_type_symbol
_atom_site_fract_x
_atom_site_fract_y
_atom_site_fract_z
_atom_site_occupancy
Tb1 Tb 0.000 0.160 0.000 1
Pr1 Pr 0.000 0.500 0.251 1
Pr2 Pr 0.500 0.324 0.501 1
Y1 Y 0.500 0.000 0.250 1
Er1 Er 0.000 0.167 0.500 1
Er2 Er 0.500 0.336 0.001 1
```

Principal peaks in the range 10 to 90 degrees two-theta, by intensity:
2θ/deg, I/Imax, (hkl)
31.52, 100, 2 0 0
31.18, 83, 1 1 2
55.91, 31, 3 1 2
44.92, 30, 2 2 2
61.87, 29, 2 0 4
40.78, 21, 2 0 2
56.12, 19, 3 3 0
79.84, 14, 3 3 4


Tb2Pr2Y2Er: simulated X-ray diffraction stick pattern (Cu Kα), based on DFT lattice parameters and positions (PBE).
Kinematic intensities with the Lorentz-polarization factor, no thermal factor.

Structure:
```
data_Tb2Pr2Y2Er
_cell_length_a 11.826
_cell_length_b 3.535
_cell_length_c 11.893
_cell_angle_alpha 90.00
_cell_angle_beta 108.77
_cell_angle_gamma 90.00
_symmetry_space_group_name_H-M 'C 1 2/m 1'
_symmetry_Int_Tables_number 12
loop_
_symmetry_equiv_pos_as_xyz
'x,y,z'
'-x,-y,-z'
'-x,y,-z'
'x,-y,z'
'x+1/2,y+1/2,z'
'-x+1/2,-y+1/2,-z'
'-x+1/2,y+1/2,-z'
'x+1/2,-y+1/2,z'
loop_
_atom_site_label
_atom_site_type_symbol
_atom_site_fract_x
_atom_site_fract_y
_atom_site_fract_z
_atom_site_occupancy
Tb1 Tb 0.229 0.000 0.366 1
Pr1 Pr 0.173 0.500 0.087 1
Y1 Y 0.048 0.500 0.769 1
Er1 Er 0.000 0.000 0.500 1
```

Principal peaks in the range 10 to 90 degrees two-theta, by intensity:
2θ/deg, I/Imax, (hkl)
32.25, 100, 1 1 2
30.61, 82, 2 0 -4
35.07, 76, 3 1 -2
30.32, 69, 4 0 -1
32.72, 54, 2 0 3
28.37, 53, 1 1 1
61.12, 41, 7 1 -3
51.09, 38, 5 1 1


Tb2PrY6Er: simulated X-ray diffraction stick pattern (Cu Kα), based on DFT lattice parameters and positions (PBE).
Kinematic intensities with the Lorentz-polarization factor, no thermal factor.

Structure:
```
data_Tb2PrY6Er
_cell_length_a 9.147
_cell_length_b 15.068
_cell_length_c 9.622
_cell_angle_alpha 90.00
_cell_angle_beta 97.64
_cell_angle_gamma 90.00
_symmetry_space_group_name_H-M 'C 1 2/c 1'
_symmetry_Int_Tables_number 15
loop_
_symmetry_equiv_pos_as_xyz
'x,y,z'
'-x,-y,-z'
'-x,y,-z+1/2'
'x,-y,z+1/2'
'x+1/2,y+1/2,z'
'-x+1/2,-y+1/2,-z'
'-x+1/2,y+1/2,-z+1/2'
'x+1/2,-y+1/2,z+1/2'
loop_
_atom_site_label
_atom_site_type_symbol
_atom_site_fract_x
_atom_site_fract_y
_atom_site_fract_z
_atom_site_occupancy
Tb1 Tb 0.250 0.051 0.048 1
Pr1 Pr 0.000 0.025 0.750 1
Y1 Y 0.064 0.186 0.443 1
Y2 Y 0.099 0.392 0.617 1
Y3 Y 0.210 0.224 0.816 1
Er1 Er 0.000 0.410 0.250 1
```

Principal peaks in the range 10 to 90 degrees two-theta, by intensity:
2θ/deg, I/Imax, (hkl)
31.30, 100, 2 2 2
30.52, 46, 0 2 3
30.40, 44, 3 1 -1
33.72, 39, 1 3 -3
31.50, 36, 2 4 -1
28.50, 36, 1 3 2
27.93, 27, 2 2 -2
32.30, 23, 1 5 -1


Tb5Pr2YEr: simulated X-ray diffraction stick pattern (Cu Kα), based on DFT lattice parameters and positions (PBE).
Kinematic intensities with the Lorentz-polarization factor, no thermal factor.

Structure:
```
data_Tb5Pr2YEr
_cell_length_a 8.627
_cell_length_b 8.627
_cell_length_c 16.002
_cell_angle_alpha 90.00
_cell_angle_beta 90.00
_cell_angle_gamma 90.00
_symmetry_space_group_name_H-M 'I 4/m c m'
_symmetry_Int_Tables_number 140
_symmetry_space_group_name_Hall '-I 4 2c'
loop_
_atom_site_label
_atom_site_type_symbol
_atom_site_fract_x
_atom_site_fract_y
_atom_site_fract_z
_atom_site_occupancy
Tb1 Tb 0.000 0.000 0.000 1
Tb2 Tb 0.215 0.285 0.142 1
Pr1 Pr 0.119 0.381 0.500 1
Y1 Y 0.000 0.000 0.250 1
Er1 Er 0.000 0.500 0.250 1
```
~~~

Solution:
4